-- Listing --
1.
Ce3Ge5Pd: relaxed, GGA-PBE.

Cell: 8.5638 8.5638 5.9690 Å, 90.00 90.00 120.00°
Space group P6_3/mcm (No. 193)
Asymmetric unit:
Ce (0.0000, 0.3856, 0.2500) (multiplicity 6)
Ge (0.0000, 0.2580, 0.7500) (multiplicity 6)
Ge (0.3333, 0.6667, 0.0000) (multiplicity 4)
Pd (0.0000, 0.0000, 0.0000) (multiplicity 2)

Output
Energy of formation from the pure elements, meV per atom: -647

2.
Ce2Pm3Ho6Er: relaxed, GGA-PBE.

Cell: 6.158 10.662 11.724 Å, 90.00 100.07 90.00°
Space group C2/m (No. 12)
Asymmetric unit:
Ce (0.000, 0.166, 0.000) (multiplicity 4)
Pm (0.000, 0.000, 0.500) (multiplicity 2)
Pm (0.000, 0.334, 0.500) (multiplicity 4)
Ho (0.247, 0.000, 0.246) (multiplicity 4)
Ho (0.250, 0.168, 0.754) (multiplicity 8)
Er (0.000, 0.500, 0.000) (multiplicity 2)

Output
Energy of formation from the pure elements, meV per atom: 44

3.
Pa2CoTe: relaxed, GGA-PBE.

Cell: 3.9793 3.9793 21.6406 Å, 90.00 90.00 120.00°
Space group R-3m (No. 166, hexagonal axes)
Asymmetric unit:
Pa (0.0000, 0.0000, 0.2300) (multiplicity 6)
Co (0.0000, 0.0000, 0.5000) (multiplicity 3)
Te (0.0000, 0.0000, 0.0000) (multiplicity 3)

Output
Energy above the most stable polymorph in this dataset, eV per atom: 0.000

| no. | density (g/cm³) | total moment (μB per atom) |
| --- | --- | --- |
| 1 | 7.80 | 0.000 |
| 2 | 8.20 | 0.156 |
| 3 | 10.89 | 0.000 |

~~~~~

Compound: FeCu4BiPbS6
Source: Alexandria
Functional: PBE
Structure: optimized geometry

abc: 3.8926 10.8146 12.1255
angles: 90.00 90.00 90.00
Closest atoms and distances in Å follow each position.
Space group Pmc2_1 (No. 26)
Inequivalent atoms, fractional coordinates:
Fe 0.0000 0.2073 0.0000 [2 per cell]  4 S 2.26-2.33
Cu 0.0000 0.0177 0.3986 [2 per cell]  4 S 2.35-2.39
Cu 0.5000 0.1260 0.1553 [2 per cell]  4 S 2.34-2.38
Cu 0.5000 0.2854 0.8573 [2 per cell]  4 S 2.30-2.37
Cu 0.5000 0.4811 0.5953 [2 per cell]  4 S 2.28-2.33
Bi 0.0000 0.3463 0.3164 [2 per cell]  3 S 2.63-2.72
Pb 0.5000 0.1920 0.5985 [2 per cell]  7 S 2.99-3.26, 2 Cu 3.13-3.30
S 0.0000 0.0240 0.0891 [2 per cell]  1 Fe 2.26, 3 Cu 2.35-2.38
S 0.0000 0.1775 0.8141 [2 per cell]  1 Fe 2.28, 3 Cu 2.33-2.35
S 0.0000 0.3876 0.5299 [2 per cell]  2 Cu 2.33
S 0.5000 0.1329 0.3484 [2 per cell]  3 Cu 2.34-2.39
S 0.5000 0.3106 0.0516 [2 per cell]  3 Cu 2.31-2.37, 2 Fe 2.33
S 0.5000 0.4817 0.7834 [2 per cell]  2 Cu 2.28-2.30

As for the magnetization: 4.5 μB/f.u. For the raw formation energy, the calculation gives -0.295 eV/atom.

=====

Compound: CaAg3Ru
Source: Alexandria
Functional: PBE
Structure: optimized geometry

abc: 5.0705 5.0705 5.0705
angles: 90.00 90.00 90.00
Closest atoms and distances in Å follow each position.
Space group Pm-3m (No. 221)
Inequivalent atoms, fractional coordinates:
Ca 0.0000 0.0000 0.0000 [1 per cell]  12 Ag 3.59
Ag 0.0000 0.5000 0.5000 [3 per cell]  2 Ru 2.54
Ru 0.5000 0.5000 0.5000 [1 per cell]  6 Ag 2.54

As for the magnetization: 1.5 μB/f.u. The total energy is -3.31 eV/atom.

=====

Compound: Al2FeMo
Source: Alexandria
Functional: PBE
Structure: optimized geometry

abc: 3.8290 3.8290 7.8161
angles: 90.00 90.00 90.00
Closest atoms and distances in Å follow each position.
Space group I4/mmm (No. 139)
Inequivalent atoms, fractional coordinates:
Al 0.0000 0.5000 0.2500 [4 per cell]  4 Al 2.71, 4 Mo 2.74, 4 Fe 2.74
Fe 0.0000 0.0000 0.0000 [2 per cell]  4 Mo 2.71, 8 Al 2.74
Mo 0.0000 0.0000 0.5000 [2 per cell]  4 Fe 2.71, 8 Al 2.74

As for the magnetization: 2.9 μB/f.u. The total energy is -6.82 eV/atom.

=====

Compound: Cs3Pb2Cl6
Source: Alexandria
Functional: PBE
Structure: optimized geometry

abc: 5.7612 5.7612 25.9955
angles: 90.00 90.00 90.00
Closest atoms and distances in Å follow each position.
Space group I4/mmm (No. 139)
Inequivalent atoms, fractional coordinates:
Cs 0.0000 0.0000 0.0000 [2 per cell]  8 Cl 3.59
Cs 0.0000 0.0000 0.1797 [4 per cell]  1 Cl 3.37
Pb 0.0000 0.0000 0.4240 [4 per cell]  5 Cl 2.89-2.98
Cl 0.0000 0.0000 0.3094 [4 per cell]  1 Pb 2.98
Cl 0.0000 0.5000 0.0822 [8 per cell]  2 Pb 2.89

-- To do --
Say how many lines of the calculation results further above hold the word "dataset", as a bare number, please.

-- Completed --
1